Monday, December 7, 2015

T Stands For Autumn Cookies

While at the grocery store, I bought some autumn sugar cookies. 

I thought this would be the last time I could enjoy autumn before winter became a priority.  I also have my Christmas plates and cups out.  I use them between Thanksgiving and Christmas.  They were originally my grandmother's and I carry on the tradition of using them at the same time she always did.

Even though I've shown the entire set before, I did so with my old camera that took photos you couldn't really see.  This is the saucer.  It's hard to see the small indentation the cup sits in, but it's there.  The set is called "Ye Olde Curiosity Shoppe."

The cup holds my yellow tea, a rather rare tea I purchased at the Spice Merchant.  It is a loose leaf tea called Spring Bud, and I bought an 1/8th ounce.  They don't always have it, so I was happy I got to try it.  You definitely don't need sugar with this tea, because it is smooth, rich, and very sweet.

The cookies were very sweet, too.  I should say the icing was very sweet.  The cookies were rich with butter.   I can't believe I bought a dozen.  And to think I'm trying to watch my weight during this silly season!

Now that I've tempted you with my tea and cookies, it's your turn to share your tempting drink inspired post by linking below.  It can be anything drink related, including digital, hybrid, or traditional scrapbooking, altered art, collage, mixed media, sketches, or journaling.  It can be a postcard, book, movie, or photos of drinks or drink vessels.  When you link, Bleubeard, the T gang, and I will be by to visit. 

24 thoughtful remarks:

Halle said... 1

Holy smokes! I'm the first one! I just wanted to publicly thank you after privately thanking you for the wonderful b-day gift in conjunction with your lovely Christmas tip-in. :)

Nancy said... 2

Very festive! Love those vintage pieces of china. I have a weakness for those sugar cookies, too! I hope you can get the Permission to Play class set up. It's all things you love and are good at. said... 3

Pretty plates and cookies -- what's not to like? I am getting in a bit of the holiday spirit too.

Valerie-Jael said... 4

Your cup and saucers are very beautiful, and I love the idea that you are carrying on he traditions of your grandmother. The cookies and tea look good, too. Have a good week, and a happy T day, hugs, Valerie

johanna said... 5

oh yes, These Cookies do look very sweet!! i baked the first Cookies for this season on saturday - and they are all gone. goodness, where will that lead to? i think i will only bake some more short time before Christmas. they are too tempting to withstand...

froebelsternchen said... 6

Beautiful cup and saucer Elizabeth - and the tea looks as good as these cookies look. I baked very much until now .. the most of the Vanillekipferln are gone .. so I had a big baking day yesterday once more...
but I am a good girl and don't eat much from that .. because I am still trying to lose weight.
Happy T-Day my friend!

AiyanaKalyna said... 7

Your tea set is stunning. I love those cookies too. Sadly, my stores do not have Autumn cookies out. They have the Christmas ones out. When I buy them I give myself a treat of one a day. I love the angel on your tabletop tree.

pearshapedcrafting said... 8

I love your teaset, fortunately the tea and cookie will not tempt me so you can enjoy it all! I love that you are keeping up your grandmother's traditions! Hugs, Chrisx ps as I wrote this hubby brought in your beautiful Christmas surprise - Thank you! Will e-mail you later! X

Linda Kunsman said... 9

that is a gorgeous set of dishes and so special that they belonged to your grandmother too. Those cookies look so pretty but would be way too sweet for my taste. Happy T day!

Nan G said... 10

Gorgeous tea set, Elizabeth. Love the little Christmas tree and those very tall slender candles in the background. Hugs to Bleubeard from T and Baby says Hello to Squiggles. I'm in the midst of attempting to make Christmas cards. Hope to get them in the mail this weekend. Simple things aren't so simple with hands that won't cooperate. :/ Anyways, Hugs from me to all. Have a wonderful week.

Lisca said... 11

Your living room looks so lovely!
The cookies look scrummy. Never mind your weight! You deserve them!
I love your grandma's tea set. It has old farm implements on it: a yoke and a plow. Beautiful. (And you have kept it in pristine condition)
I have also spent quite a while reading your previous post about the Japanese wars. How interesting. I was telling my husband over coffee and he found it very interesting too. So thank you for that.
I must go now as we are travelling and there is only so much time you can spend in a cafe (with wifi) over a coffee.
Have a great week,

Craftymoose Crafts said... 12

I enjoy seeing your Grandmother's china and it is so nice that you carry on her tradition of using it between Thanksgiving and Christmas. Now I feel like the season has really begun!

DD is a fan of what is called cupcake cookies--very similar to what you are sharing today--but the icing is a bit too sweet for my taste. The tea, however, looks and sounds interesting!

Happy T Day my lovely friend!

Darla said... 13

I like that china and how nice to remember your Grandmother by using it each year as she did. The tea sounds good. Always fun to discover a new tea you like isn't it?

Anonymous said... 14

What a sweet tabletop tree. Beautiful Angel sitting at the top. Nice china too. And of course cookies, no matter what kind. It is still Autumn after all. xox

Divers and Sundry said... 15

I love family traditions. It brings people back in clear sweet memory :)

Dianne said... 16

I enjoy your yearly tradition of bringing out the holiday dishes! So wonderful to remember your grandparents in that way, and they are truly lovely. Cookies look very tempting, and perfect with the tea. wonderful little Christmas tree to...happy T day dear friend!♥

Carol said... 17

I'm finally here... I started to post last night but Our internet went out again and didn't come back until sometime after midnight and before 8 am. :( I see that the phone company is out working on the line this morning so perhaps this won't keep happening. Love your Christmas dishes ♥ So much better that they came from your grandmother ♥

Krisha said... 18

Well, I finally made it too, like Carol I started last night by uploading all the photos, but his morning has taken forever......Blogger and I have been having a struggle..... I'm not sure I won.

I love your dishes and the story behind them. The frosting on the cookies are the same color as your tea.:))
I'm afraid the cookies don't appeal to me. I've been staying away from sugar and anything with white flour in it. Surprisingly I've started to loose some weight....LOL It has been three weeks, and I did take a bite of an oatmeal raisin cookie (My favorite) the other day and it tasted like raw that's it for me!

Have a great day!! I need to catch up on your other posts, I've been so sick I've just stayed off the PC.

Ariel said... 19

Your grandmother's Christmas tea cups and plates look lovely.My kids would have loved these sweet cookies.I'm more of a 'spice'person -:)
Have a wonderful Tuesday

Viktoria Berg said... 20

That´s a charming tea set. And the cookies look delicious. Happy T-Day! I will not join this week, but hope to later on. :-)

Dreaming of Vintage said... 21

I love that tableware, so pretty! Those cookies don't look to shabby either!

Meggymay said... 22

The cookies look delicious and your tablewear is beautiful, something to be treasured through many generations.
Yvonne xx

Rita said... 23

Inserted here: data records.
# Dy3Sc2S7, optimized geometry, DFT PBE
# VASP energy = -6.636 eV per atom
# E (MP2020) = -6.93 eV per atom
# Symmetry = C2/m, No. 12
# V = 21.23 Å³ per atom
# Calculated formation energy = -27.71 eV/f.u.
data_Dy3Sc2S7
_cell_length_a 6.484
_cell_length_b 6.484
_cell_length_c 11.368
_cell_angle_alpha 104.37
_cell_angle_beta 104.37
_cell_angle_gamma 33.51
_symmetry_space_group_name_H-M 'P 1'
_symmetry_Int_Tables_number 1
loop_
_symmetry_equiv_pos_as_xyz
'x,y,z'
loop_
_atom_site_label
_atom_site_type_symbol
_atom_site_fract_x
_atom_site_fract_y
_atom_site_fract_z
_atom_site_occupancy
Dy1 Dy 0.000 0.000 0.000 1
Dy2 Dy 0.304 0.304 0.202 1
Dy3 Dy 0.696 0.696 0.798 1
Sc1 Sc 0.111 0.111 0.430 1
Sc2 Sc 0.889 0.889 0.570 1
S1 S 0.033 0.033 0.776 1
S2 S 0.264 0.264 0.638 1
S3 S 0.338 0.338 0.947 1
S4 S 0.500 0.500 0.500 1
S5 S 0.662 0.662 0.053 1
S6 S 0.736 0.736 0.362 1
S7 S 0.967 0.967 0.224 1

=====

This record from the Materials Project describes a geometry-optimized K3Cu2Bi5S10 structure. The functional is PBE.

Structure (CIF):
```
data_K3Cu2Bi5S10
_cell_length_a 14.405
_cell_length_b 17.887
_cell_length_c 4.058
_cell_angle_alpha 90.00
_cell_angle_beta 90.00
_cell_angle_gamma 90.00
_space_group_name_H-M_alt 'P n n m'
_space_group_IT_number 58
loop_
_space_group_symop_operation_xyz
'x,y,z'
'-x,-y,-z'
'-x,-y,z'
'x,y,-z'
'x+1/2,-y+1/2,-z+1/2'
'-x+1/2,y+1/2,z+1/2'
'-x+1/2,y+1/2,-z+1/2'
'x+1/2,-y+1/2,z+1/2'
loop_
_atom_site_label
_atom_site_fract_x
_atom_site_fract_y
_atom_site_fract_z
K1 0.000 0.000 0.000
K2 0.025 0.253 0.500
Cu1 0.218 0.748 0.000
Bi1 0.000 0.500 0.000
Bi2 0.220 0.597 0.500
Bi3 0.231 0.896 0.500
S1 0.094 0.640 0.000
S2 0.118 0.851 0.000
S3 0.123 0.447 0.500
S4 0.163 0.037 0.500
S5 0.200 0.234 0.000
```

Computed properties:
- Volume: 26.139 Å³ per atom
- E: -4.208 eV per atom

=====

1.
The following is a GGA-PBE calculation of a relaxed Ho3Ge3Ru2 crystal, from the Materials Project.

Properties
space group: Cmcm, No. 63

Unit cell a=5.8143 b=5.8143 c=13.9206 alpha=90.00 beta=90.00 gamma=136.99
Fractional coordinates of all 16 atoms:
1 Ho 0.0782 0.9218 0.6131
2 Ho 0.0782 0.9218 0.8869
3 Ho 0.3534 0.6466 0.7500
4 Ho 0.6466 0.3534 0.2500
5 Ho 0.9218 0.0782 0.1131
6 Ho 0.9218 0.0782 0.3869
7 Ge 0.3361 0.6639 0.2500
8 Ge 0.3843 0.6157 0.5406
9 Ge 0.3843 0.6157 0.9594
10 Ge 0.6157 0.3843 0.0406
11 Ge 0.6157 0.3843 0.4594
12 Ge 0.6639 0.3361 0.7500
13 Ru 0.2133 0.7867 0.0827
14 Ru 0.2133 0.7867 0.4173
15 Ru 0.7867 0.2133 0.5827
16 Ru 0.7867 0.2133 0.9173



2.
The following is a GGA-PBE calculation of a relaxed Ho3Ge13Ru4 crystal, from the Materials Project.

Properties
space group: Pm-3n, No. 223
M_tot: 0.0 μB/f.u.

Unit cell a=9.0342 b=9.0342 c=9.0342 alpha=90.00 beta=90.00 gamma=90.00
Fractional coordinates of all 40 atoms:
1 Ho 0.0000 0.2500 0.5000
2 Ho 0.0000 0.7500 0.5000
3 Ho 0.2500 0.5000 0.0000
4 Ho 0.5000 0.0000 0.2500
5 Ho 0.5000 0.0000 0.7500
6 Ho 0.7500 0.5000 0.0000
7 Ge 0.0000 0.0000 0.0000
8 Ge 0.0000 0.3068 0.1490
Here the text continues.

I think I love most of all that the cup has an inkwell and quill/feather pen. Ahhh! Love that.
Your cookies look delicious. This is not a time of year I can diet, that's for sure. I gained a pound just reading your blog. LOL! Happy T-Day! :)

My name is Erika. said... 24

Yummy looking cookies. And what a cute little tree. One of these days I am going to remember to take a photo of my evening tea so I can join...and I will. Hugs!